Assignment:
Transcribe the whole of the listing further down word for word.

Entries:
# Rb3Bi2I9

A relaxed structure of Rb3Bi2I9 (PBE-GGA, the Materials Project database).

The structure in POSCAR format:
```
Rb3Bi2I9
1.0
8.4541 0.0000 0.0000
0.0000 15.0914 0.0000
0.0000 14.4871 21.5266
I Bi Rb
36 8 12
Cartesian
1.3675 15.2012 4.9899
2.8022 10.0727 1.5512
0.4611 18.3981 15.3448
0.6023 24.2637 19.3386
0.5152 8.5554 7.9885
4.6351 18.6601 16.5613
7.9931 11.1545 4.5815
0.4277 13.7897 0.7945
8.0264 21.0332 11.5578
2.7397 14.7872 15.9047
4.7304 8.8250 9.4012
1.3292 19.8216 19.3060
4.5173 18.1551 5.1545
8.1189 7.1039 1.3665
5.7145 7.5437 5.1414
3.7237 16.0686 20.1645
3.9369 25.3987 15.9178
7.9390 15.7989 18.7518
5.5576 27.1297 19.5742
7.0866 22.4448 15.7532
4.7299 14.0024 2.0423
3.7792 5.8324 1.5151
5.6519 17.3163 12.3145
7.8518 17.0202 8.5753
7.1249 12.5780 8.5427
0.3352 14.3474 12.1298
1.5019 9.8092 12.2492
6.9522 2.5656 1.4859
3.8190 11.4165 5.7980
0.4131 4.3644 5.0957
8.0411 11.6080 15.8590
2.8965 19.8861 8.8109
4.6749 13.0760 12.2784
3.6436 15.4590 8.7189
3.7242 21.2459 12.8056
4.8105 22.7026 19.4822
6.2890 14.9597 10.5973
2.1825 17.2515 17.5031
2.0363 7.3438 10.6417
6.2716 10.0079 6.7398
6.4178 14.5873 21.4050
2.1651 22.2033 21.3606
6.4138 24.7823 17.4837
2.0403 17.5387 6.7204
1.9630 7.9154 4.5473
2.2497 2.2767 2.0357
1.8784 17.7745 11.7866
6.4911 15.1589 15.3106
6.2044 9.5203 12.7990
1.9197 27.7447 18.8590
6.5757 10.5309 1.0233
2.3848 21.9707 16.3608
6.1399 19.2204 20.0533
6.0693 14.7271 5.5975
6.5344 20.5011 8.0957
2.3142 11.9768 9.2900
```

Output
Offset from the most stable computed form ... 0 meV/atom
Energy relative to the elements ... -1.178 eV per atom
Volume ... 49.0 Å³ per atom
Size of the total moment ... 0.000 μB/atom


(1)
VASP calculation (PBE) on a relaxed structure of TaCoSb.

```
data_TaCoSb
_symmetry_space_group_name_H-M 'F -4 3 m'
_symmetry_Int_Tables_number 216
_symmetry_space_group_name_Hall 'F -4 2 3'
_cell_length_a 5.969
_cell_length_b 5.969
_cell_length_c 5.969
_cell_angle_alpha 90.00
_cell_angle_beta 90.00
_cell_angle_gamma 90.00
loop_
_atom_site_label
_atom_site_fract_x
_atom_site_fract_y
_atom_site_fract_z
Ta1 0.000 0.000 0.000
Co1 0.250 0.250 0.250
Sb1 0.000 0.000 0.500
```

- Size of the total moment: 0.00 μB per atom
- E_form: -0.19 eV/atom


(2)
VASP calculation (PBE) on a relaxed structure of Th3Co3Sb4.

```
data_Th3Co3Sb4
_symmetry_space_group_name_H-M 'I -4 3 d'
_symmetry_Int_Tables_number 220
_symmetry_space_group_name_Hall 'I -4bd 2c 3'
_cell_length_a 9.605
_cell_length_b 9.605
_cell_length_c 9.605
_cell_angle_alpha 90.00
_cell_angle_beta 90.00
_cell_angle_gamma 90.00
loop_
_atom_site_label
_atom_site_fract_x
_atom_site_fract_y
_atom_site_fract_z
Th1 0.000 0.250 0.375
Co1 0.000 0.250 0.875
Sb1 0.080 0.080 0.080
```

- E_form: -0.80 eV/atom


(3)
VASP calculation (PBE) on a relaxed structure of VCoSb.

```
data_VCoSb
_symmetry_space_group_name_H-M 'P 63/m m c'
_symmetry_Int_Tables_number 194
_symmetry_space_group_name_Hall '-P 6c 2c'
_cell_length_a 4.4881
_cell_length_b 4.4881
_cell_length_c 5.2346
_cell_angle_alpha 90.00
_cell_angle_beta 90.00
_cell_angle_gamma 120.00
loop_
_atom_site_label
_atom_site_fract_x
_atom_site_fract_y
_atom_site_fract_z
V1 0.3333 0.6667 0.2500
Co1 0.0000 0.0000 0.0000
Sb1 0.3333 0.6667 0.7500
```

- Size of the total moment: 0.66 μB per atom
- E_form: 0.27 eV/atom


(4)
VASP calculation (PBE) on a relaxed structure of VCoSb.

```
data_VCoSb
_symmetry_space_group_name_H-M 'F -4 3 m'
_symmetry_Int_Tables_number 216
_symmetry_space_group_name_Hall 'F -4 2 3'
_cell_length_a 5.827
_cell_length_b 5.827
_cell_length_c 5.827
_cell_angle_alpha 90.00
_cell_angle_beta 90.00
_cell_angle_gamma 90.00
loop_
_atom_site_label
_atom_site_fract_x
_atom_site_fract_y
_atom_site_fract_z
V1 0.000 0.000 0.000
Co1 0.250 0.250 0.750
Sb1 0.000 0.000 0.500
```

- E_form: -0.25 eV/atom


Question: What is the formula in the fourth record?
Answer: VCoSb


Entry from Materials Project: a relaxed structure of NdInCu (meta-GGA r2SCAN). Values from VASP.

Completed:
# Rb3Bi2I9

A relaxed structure of Rb3Bi2I9 (PBE-GGA, the Materials Project database).

The structure in POSCAR format:
```
Rb3Bi2I9
1.0
8.4541 0.0000 0.0000
0.0000 15.0914 0.0000
0.0000 14.4871 21.5266
I Bi Rb
36 8 12
Cartesian
1.3675 15.2012 4.9899
2.8022 10.0727 1.5512
0.4611 18.3981 15.3448
0.6023 24.2637 19.3386
0.5152 8.5554 7.9885
4.6351 18.6601 16.5613
7.9931 11.1545 4.5815
0.4277 13.7897 0.7945
8.0264 21.0332 11.5578
2.7397 14.7872 15.9047
4.7304 8.8250 9.4012
1.3292 19.8216 19.3060
4.5173 18.1551 5.1545
8.1189 7.1039 1.3665
5.7145 7.5437 5.1414
3.7237 16.0686 20.1645
3.9369 25.3987 15.9178
7.9390 15.7989 18.7518
5.5576 27.1297 19.5742
7.0866 22.4448 15.7532
4.7299 14.0024 2.0423
3.7792 5.8324 1.5151
5.6519 17.3163 12.3145
7.8518 17.0202 8.5753
7.1249 12.5780 8.5427
0.3352 14.3474 12.1298
1.5019 9.8092 12.2492
6.9522 2.5656 1.4859
3.8190 11.4165 5.7980
0.4131 4.3644 5.0957
8.0411 11.6080 15.8590
2.8965 19.8861 8.8109
4.6749 13.0760 12.2784
3.6436 15.4590 8.7189
3.7242 21.2459 12.8056
4.8105 22.7026 19.4822
6.2890 14.9597 10.5973
2.1825 17.2515 17.5031
2.0363 7.3438 10.6417
6.2716 10.0079 6.7398
6.4178 14.5873 21.4050
2.1651 22.2033 21.3606
6.4138 24.7823 17.4837
2.0403 17.5387 6.7204
1.9630 7.9154 4.5473
2.2497 2.2767 2.0357
1.8784 17.7745 11.7866
6.4911 15.1589 15.3106
6.2044 9.5203 12.7990
1.9197 27.7447 18.8590
6.5757 10.5309 1.0233
2.3848 21.9707 16.3608
6.1399 19.2204 20.0533
6.0693 14.7271 5.5975
6.5344 20.5011 8.0957
2.3142 11.9768 9.2900
```

Output
Offset from the most stable computed form ... 0 meV/atom
Energy relative to the elements ... -1.178 eV per atom
Volume ... 49.0 Å³ per atom
Size of the total moment ... 0.000 μB/atom


(1)
VASP calculation (PBE) on a relaxed structure of TaCoSb.

```
data_TaCoSb
_symmetry_space_group_name_H-M 'F -4 3 m'
_symmetry_Int_Tables_number 216
_symmetry_space_group_name_Hall 'F -4 2 3'
_cell_length_a 5.969
_cell_length_b 5.969
_cell_length_c 5.969
_cell_angle_alpha 90.00
_cell_angle_beta 90.00
_cell_angle_gamma 90.00
loop_
_atom_site_label
_atom_site_fract_x
_atom_site_fract_y
_atom_site_fract_z
Ta1 0.000 0.000 0.000
Co1 0.250 0.250 0.250
Sb1 0.000 0.000 0.500
```

- Size of the total moment: 0.00 μB per atom
- E_form: -0.19 eV/atom


(2)
VASP calculation (PBE) on a relaxed structure of Th3Co3Sb4.

```
data_Th3Co3Sb4
_symmetry_space_group_name_H-M 'I -4 3 d'
_symmetry_Int_Tables_number 220
_symmetry_space_group_name_Hall 'I -4bd 2c 3'
_cell_length_a 9.605
_cell_length_b 9.605
_cell_length_c 9.605
_cell_angle_alpha 90.00
_cell_angle_beta 90.00
_cell_angle_gamma 90.00
loop_
_atom_site_label
_atom_site_fract_x
_atom_site_fract_y
_atom_site_fract_z
Th1 0.000 0.250 0.375
Co1 0.000 0.250 0.875
Sb1 0.080 0.080 0.080
```

- E_form: -0.80 eV/atom


(3)
VASP calculation (PBE) on a relaxed structure of VCoSb.

```
data_VCoSb
_symmetry_space_group_name_H-M 'P 63/m m c'
_symmetry_Int_Tables_number 194
_symmetry_space_group_name_Hall '-P 6c 2c'
_cell_length_a 4.4881
_cell_length_b 4.4881
_cell_length_c 5.2346
_cell_angle_alpha 90.00
_cell_angle_beta 90.00
_cell_angle_gamma 120.00
loop_
_atom_site_label
_atom_site_fract_x
_atom_site_fract_y
_atom_site_fract_z
V1 0.3333 0.6667 0.2500
Co1 0.0000 0.0000 0.0000
Sb1 0.3333 0.6667 0.7500
```

- Size of the total moment: 0.66 μB per atom
- E_form: 0.27 eV/atom


(4)
VASP calculation (PBE) on a relaxed structure of VCoSb.

```
data_VCoSb
_symmetry_space_group_name_H-M 'F -4 3 m'
_symmetry_Int_Tables_number 216
_symmetry_space_group_name_Hall 'F -4 2 3'
_cell_length_a 5.827
_cell_length_b 5.827
_cell_length_c 5.827
_cell_angle_alpha 90.00
_cell_angle_beta 90.00
_cell_angle_gamma 90.00
loop_
_atom_site_label
_atom_site_fract_x
_atom_site_fract_y
_atom_site_fract_z
V1 0.000 0.000 0.000
Co1 0.250 0.250 0.750
Sb1 0.000 0.000 0.500
```

- E_form: -0.25 eV/atom


Question: What is the formula in the fourth record?
Answer: VCoSb


Entry from Materials Project: a relaxed structure of NdInCu (meta-GGA r2SCAN). Values from VASP.